_Wanted_
Find "0.832 0.477" and "0.490 0.190" in the listing further below, and write out these two lines and those between.

_File_
/*
No. 1
DFT (PBE) results for a geometry-optimized Na2Si2Ge2SO12 structure.

Lattice parameters (Å, degrees): 8.594 8.594 21.803 89.86 90.14 119.90
Positions (direct):
S1 0.993 0.707 0.750
S2 0.959 0.340 0.584
S3 0.660 0.041 0.084
S4 0.293 0.007 0.250
S5 0.327 0.374 0.417
S6 0.626 0.673 0.917
O1 0.149 0.968 0.909
O2 0.836 0.528 0.744
O3 0.639 0.158 0.424
O4 0.880 0.369 0.639
O5 0.704 0.537 0.520
O6 0.972 0.825 0.091
O7 0.303 0.826 0.977
O8 0.846 0.497 0.423
O9 0.472 0.164 0.244
O10 0.840 0.030 0.810
O11 0.546 0.702 0.972
O12 0.366 0.518 0.076
O13 0.032 0.851 0.409
O14 0.139 0.497 0.577
O15 0.507 0.363 0.143
O16 0.881 0.499 0.144
O17 0.510 0.633 0.861
O18 0.804 0.842 0.190
O19 0.503 0.861 0.077
O20 0.358 0.851 0.578
O21 0.463 0.296 0.020
O22 0.370 0.870 0.853
O23 0.836 0.821 0.590
O24 0.130 0.630 0.353
O25 0.024 0.184 0.912
O26 0.816 0.976 0.412
O27 0.972 0.173 0.587
O28 0.305 0.839 0.254
O29 0.835 0.785 0.311
O30 0.305 0.492 0.758
O31 0.482 0.309 0.745
O32 0.494 0.362 0.421
O33 0.168 0.452 0.977
O34 0.512 0.830 0.756
O35 0.170 0.488 0.256
O36 0.215 0.165 0.811
O37 0.691 0.518 0.245
O38 0.175 0.028 0.591
O39 0.138 0.508 0.857
O40 0.827 0.028 0.087
O41 0.844 0.300 0.528
O42 0.805 0.830 0.910
O43 0.825 0.529 0.024
O44 0.034 0.823 0.695
O45 0.842 0.361 0.924
O46 0.367 0.490 0.361
O47 0.700 0.156 0.028
O48 0.548 0.832 0.477
O49 0.970 0.160 0.310
O50 0.631 0.120 0.139
O51 0.149 0.642 0.078
O52 0.298 0.454 0.472
O53 0.699 0.185 0.742
O54 0.174 0.697 0.477
O55 0.492 0.862 0.357
O56 0.177 0.966 0.195
O57 0.158 0.196 0.690
O58 0.482 0.634 0.576
O59 0.964 0.787 0.806
O60 0.503 0.154 0.923
O61 0.501 0.119 0.644
O62 0.637 0.493 0.643
O63 0.638 0.506 0.921
O64 0.471 0.175 0.524
O65 0.037 0.203 0.187
O66 0.170 0.195 0.410
O67 0.179 0.164 0.090
O68 0.815 0.301 0.242
O69 0.213 0.036 0.306
O70 0.797 0.963 0.687
O71 0.508 0.695 0.258
O72 0.161 0.695 0.754
Ge1 0.666 0.330 0.980
Ge2 0.999 0.997 0.646
Ge3 0.308 0.652 0.021
Ge4 0.348 0.692 0.521
Ge5 0.670 0.334 0.480
Ge6 0.641 0.319 0.688
Ge7 0.681 0.359 0.188
Ge8 0.003 0.001 0.146
Ge9 0.337 0.668 0.813
Ge10 0.014 0.026 0.854
Ge11 0.332 0.663 0.313
Ge12 0.974 0.986 0.354
Na1 0.035 0.336 0.086
Na2 0.335 0.653 0.667
Na3 0.347 0.665 0.167
Na4 0.001 0.986 0.000
Na5 0.702 0.669 0.420
Na6 0.668 0.320 0.334
Na7 0.664 0.965 0.586
Na8 0.014 0.999 0.500
Na9 0.680 0.332 0.834
Na10 0.331 0.298 0.920
Na11 0.998 0.631 0.253
Na12 0.369 0.002 0.753
Si1 0.950 0.628 0.083
Si2 0.617 0.961 0.416
Si3 0.706 0.716 0.249
Si4 0.052 0.669 0.416
Si5 0.664 0.615 0.583
Si6 0.998 0.281 0.249
Si7 0.385 0.336 0.083
Si8 0.372 0.050 0.583
Si9 0.284 0.294 0.749
Si10 0.331 0.948 0.916
Si11 0.039 0.383 0.916
Si12 0.719 0.002 0.749

Formation energy from the elements, eV per atom: -2.3482


No. 2
DFT (PBE) results for a geometry-optimized Na2Si3Ge4S3O24 structure.

Lattice parameters (Å, degrees): 8.521 8.442 22.042 90.84 90.77 119.82
Positions (direct):
O1 0.163 0.692 0.757
O2 0.840 0.294 0.528
O3 0.149 0.637 0.077
O4 0.490 0.190 0.238
O5 0.697 0.154 0.027
O6 0.193 0.485 0.258
O7 0.161 0.456 0.973
O8 0.827 0.531 0.022
O9 0.701 0.190 0.740
O10 0.964 0.788 0.806
O11 0.974 0.168 0.588
O12 0.366 0.508 0.074
O13 0.490 0.119 0.640
O14 0.852 0.821 0.591
O15 0.195 0.175 0.086
O16 0.453 0.296 0.026
O17 0.487 0.314 0.744
O18 0.793 0.955 0.691
O19 0.829 0.026 0.088
O20 0.202 0.041 0.310
O21 0.032 0.852 0.409
O22 0.481 0.638 0.576
O23 0.825 0.982 0.408
O24 0.633 0.496 0.644
O25 0.146 0.973 0.908
O26 0.626 0.118 0.137
O27 0.170 0.199 0.413
O28 0.357 0.859 0.579
O29 0.298 0.487 0.761
O30 0.456 0.155 0.529
O31 0.136 0.498 0.579
O32 0.037 0.824 0.696
O33 0.295 0.835 0.976
O34 0.838 0.529 0.744
O35 0.368 0.491 0.362
O36 0.173 0.701 0.480
O37 0.699 0.525 0.524
O38 0.506 0.627 0.862
O39 0.317 0.829 0.254
O40 0.024 0.194 0.913
O41 0.515 0.159 0.926
O42 0.839 0.036 0.813
O43 0.368 0.862 0.857
O44 0.967 0.824 0.091
O45 0.961 0.156 0.310
O46 0.825 0.787 0.304
O47 0.862 0.362 0.924
O48 0.160 0.195 0.688
O49 0.195 0.028 0.590
O50 0.550 0.836 0.477
*/

_Completed_
O48 0.548 0.832 0.477
O49 0.970 0.160 0.310
O50 0.631 0.120 0.139
O51 0.149 0.642 0.078
O52 0.298 0.454 0.472
O53 0.699 0.185 0.742
O54 0.174 0.697 0.477
O55 0.492 0.862 0.357
O56 0.177 0.966 0.195
O57 0.158 0.196 0.690
O58 0.482 0.634 0.576
O59 0.964 0.787 0.806
O60 0.503 0.154 0.923
O61 0.501 0.119 0.644
O62 0.637 0.493 0.643
O63 0.638 0.506 0.921
O64 0.471 0.175 0.524
O65 0.037 0.203 0.187
O66 0.170 0.195 0.410
O67 0.179 0.164 0.090
O68 0.815 0.301 0.242
O69 0.213 0.036 0.306
O70 0.797 0.963 0.687
O71 0.508 0.695 0.258
O72 0.161 0.695 0.754
Ge1 0.666 0.330 0.980
Ge2 0.999 0.997 0.646
Ge3 0.308 0.652 0.021
Ge4 0.348 0.692 0.521
Ge5 0.670 0.334 0.480
Ge6 0.641 0.319 0.688
Ge7 0.681 0.359 0.188
Ge8 0.003 0.001 0.146
Ge9 0.337 0.668 0.813
Ge10 0.014 0.026 0.854
Ge11 0.332 0.663 0.313
Ge12 0.974 0.986 0.354
Na1 0.035 0.336 0.086
Na2 0.335 0.653 0.667
Na3 0.347 0.665 0.167
Na4 0.001 0.986 0.000
Na5 0.702 0.669 0.420
Na6 0.668 0.320 0.334
Na7 0.664 0.965 0.586
Na8 0.014 0.999 0.500
Na9 0.680 0.332 0.834
Na10 0.331 0.298 0.920
Na11 0.998 0.631 0.253
Na12 0.369 0.002 0.753
Si1 0.950 0.628 0.083
Si2 0.617 0.961 0.416
Si3 0.706 0.716 0.249
Si4 0.052 0.669 0.416
Si5 0.664 0.615 0.583
Si6 0.998 0.281 0.249
Si7 0.385 0.336 0.083
Si8 0.372 0.050 0.583
Si9 0.284 0.294 0.749
Si10 0.331 0.948 0.916
Si11 0.039 0.383 0.916
Si12 0.719 0.002 0.749

Formation energy from the elements, eV per atom: -2.3482


No. 2
DFT (PBE) results for a geometry-optimized Na2Si3Ge4S3O24 structure.

Lattice parameters (Å, degrees): 8.521 8.442 22.042 90.84 90.77 119.82
Positions (direct):
O1 0.163 0.692 0.757
O2 0.840 0.294 0.528
O3 0.149 0.637 0.077
O4 0.490 0.190 0.238